## To do
Next, say how many lines of the block further below hold the word "total_energy_ha", as a bare number.

## Excerpt
********
{
  "formula": "C4H9OPS",
  "method": "ωB97M-V with the def2-TZVPD basis set",
  "elements": ["S", "P", "O", "C", "C", "C", "C", "H", "H", "H", "H", "H", "H", "H", "H", "H"],
  "coordinates": [[-2.147, -0.019, 0.756], [0.447, -2.280, -0.028], [1.875, -0.142, 1.254], [0.395, -0.468, -0.539], [-1.116, -0.056, -0.760], [0.771, 1.819, 0.146], [1.165, 0.382, 0.440], [-1.364, 1.005, -1.190], [0.772, -0.459, -1.497], [1.590, 2.419, 0.655], [1.682, -2.234, 0.604], [-2.676, -1.241, 0.657], [0.763, 2.028, -0.983], [-1.688, -0.786, -1.515], [-0.211, 2.030, 0.755], [-0.258, -1.997, 1.245]],
  "forces_ev_per_a": [[0.0, 0.0, 0.0], [-1.4, 0.2, 0.7], [0.4, 1.6, 0.4], [-2.5, -1.7, 1.5], [-1.9, 0.1, -1.6], [1.3, 1.5, 2.0], [-1.6, -0.4, -1.6], [1.2, -2.0, 0.6], [1.4, 0.4, -2.2], [-1.1, -0.1, -0.8], [0.4, -0.1, 0.0], [0.1, -0.1, 0.1], [-0.4, -0.3, 1.9], [1.6, 1.5, 1.6], [1.7, -0.3, -1.6], [0.6, -0.5, -1.0]],
  "gap_ev": 9.90,
  "e_tot_ha": -972.51726,
  "homo_energy_ev": -9.25,
  "charge": 0
}

---

{
  "formula": "C4H9PS",
  "method": "ωB97M-V with the def2-TZVPD basis set",
  "elements": ["S", "P", "C", "C", "C", "C", "H", "H", "H", "H", "H", "H", "H", "H", "H"],
  "coordinates": [[0.207, 1.094, 1.660], [-0.708, -0.490, 0.533], [-0.492, -1.287, -2.059], [0.833, 0.846, -1.503], [-0.370, 0.380, 3.297], [-0.188, -0.146, -1.188], [-1.077, -2.002, -1.572], [1.791, 0.570, -1.122], [0.171, -0.451, 3.566], [0.647, 1.672, -0.742], [-0.864, -1.059, -3.051], [0.611, -1.747, -2.349], [0.084, 1.122, 3.958], [0.740, 1.115, -2.572], [-1.385, 0.383, 3.146]],
  "forces_ev_per_a": [[-0.2, -1.2, 0.0], [1.1, 1.4, -3.3], [3.8, -0.2, -2.1], [-1.4, 2.0, 0.9], [2.7, 3.3, -1.3], [-1.0, -1.9, 5.1], [-0.9, -1.3, 0.5], [1.0, -0.8, -0.5], [0.5, -2.5, 0.1], [0.0, -0.1, -1.7], [-0.5, 0.3, -0.1], [-2.6, 0.6, 0.8], [-1.0, 0.3, 0.3], [0.7, 0.3, 0.6], [-2.3, -0.4, 0.8]],
  "gap_ev": 7.76,
  "e_tot_ha": -897.26998,
  "homo_energy_ev": -7.61,
  "charge": 0
}

=====

# C15H18

A 2-piece molecular cluster, C15H18 overall (ωB97M-V/def2-TZVPD, the Open Molecules 2025 dataset).

Structure (XYZ):
```
33
C15H18 ωB97M-V/def2-TZVPD
C 3.27318 -0.74394 0.54312
C 2.66928 -2.14744 0.39127
C 1.66981 -2.32550 -0.76068
C 1.37949 -3.56641 -1.22894
C 0.35624 -3.79021 -2.11434
C -0.40649 -2.70078 -2.50651
C -0.08725 -1.36691 -2.13119
C 0.91838 -1.24320 -1.23603
H 3.95496 -0.50363 -0.31393
H 3.92431 -0.71679 1.45224
H 2.41205 -0.07183 0.69187
H 3.18984 -3.09547 0.52235
H 1.91170 -2.26879 1.25828
H 1.84498 -4.50447 -1.05995
H -0.04947 -4.78425 -2.41391
H -1.39729 -2.71456 -3.05195
H -0.71892 -0.45261 -2.50023
H 1.17714 -0.27848 -0.81624
C -3.66708 3.10860 1.71914
C -2.32092 2.72333 1.27645
C -1.99411 3.09881 -0.03037
C -0.67553 2.74370 -0.47629
C 0.18580 2.00128 0.39825
C -0.27694 1.43537 1.51683
C -1.54962 1.86048 2.01382
H -3.68324 4.18067 2.05476
H -4.01313 2.53235 2.51309
H -4.58300 2.76367 1.14640
H -2.79069 3.63535 -0.58622
H -0.25206 3.10978 -1.38810
H 1.18733 1.92017 0.09681
H 0.30300 0.75918 2.12441
H -1.89176 1.40252 2.89578
```

For the energy above the lowest of the compared OMol25 structures with the same formula, charge and spin, the calculation gives 44.37 kcal per mole. Its SMILES is CCc1ccccc1.Cc1ccccc1. The total energy comes out at -15845.055 eV.

=====

No. 1
128
Properties=species:S:1:pos:R:3 method="wB97M-V/def2-TZVPD" total_energy_ha=-4990.00219 total_charge=0 gap_ev="7.185 / 7.713" multiplicity=5
Cr 0.11 2.92 -2.04
N -0.21 1.10 -1.14
S -1.29 0.52 -0.20
O -0.82 0.01 1.07
O -2.41 -0.16 -0.79
F -2.01 1.89 0.24
S 0.83 -0.28 -1.11
O 0.33 -1.60 -1.27
O 1.97 -0.09 -0.26
F 1.40 0.11 -2.56
N -3.08 3.79 -1.71
O -3.85 3.06 -2.34
O -3.48 4.52 -0.81
O -1.83 3.74 -2.00
C 8.73 -1.37 0.39
C 7.65 -0.58 1.12
O 6.70 -0.07 0.21
C 5.53 0.38 0.86
C 4.62 -0.71 1.42
H 8.27 -2.23 -0.12
H 9.16 -0.80 -0.43
H 9.41 -1.85 1.08
H 7.17 -1.19 1.88
H 8.17 0.24 1.62
H 5.79 1.10 1.63
H 4.85 0.89 0.17
H 3.62 -0.38 1.72
H 5.06 -1.12 2.33
H 4.46 -1.52 0.72
C 0.67 -4.32 -3.07
C 1.58 -3.51 -2.17
O 2.87 -3.47 -2.79
********

## Worked solution
1